-- File --
(1)
{"formula": "NbGaCuW", "functional": "GGA-PBE", "state": "relaxed", "lattice_angstrom": [[6.310, 0.000, 0.000], [0.000, 6.310, 0.000], [0.000, 0.000, 6.310]], "species": ["Nb", "Nb", "Nb", "Nb", "Ga", "Ga", "Ga", "Ga", "Cu", "Cu", "Cu", "Cu", "W", "W", "W", "W"], "fractional_positions": [[0.000, 0.000, 0.000], [0.000, 0.500, 0.500], [0.500, 0.000, 0.500], [0.500, 0.500, 0.000], [0.000, 0.000, 0.500], [0.000, 0.500, 0.000], [0.500, 0.000, 0.000], [0.500, 0.500, 0.500], [0.250, 0.250, 0.750], [0.250, 0.750, 0.250], [0.750, 0.250, 0.250], [0.750, 0.750, 0.750], [0.250, 0.250, 0.250], [0.250, 0.750, 0.750], [0.750, 0.250, 0.750], [0.750, 0.750, 0.250]], "final_energy_ev_per_atom": -7.160, "space_group": "No. 216", "m_tot_mub_per_cell": 0.02}

(2)
{"formula": "NdGa6Cu6", "functional": "GGA-PBE", "state": "relaxed", "lattice_angstrom": [[-2.576, 4.307, 4.393], [2.576, -4.307, 4.393], [2.576, 4.307, -4.393]], "species": ["Nd", "Ga", "Ga", "Ga", "Ga", "Ga", "Ga", "Cu", "Cu", "Cu", "Cu", "Cu", "Cu"], "fractional_positions": [[0.000, 0.000, 0.000], [0.200, 0.700, 0.500], [0.348, 0.000, 0.348], [0.350, 0.350, 0.000], [0.650, 0.650, 0.000], [0.652, 0.000, 0.652], [0.800, 0.300, 0.500], [0.000, 0.000, 0.500], [0.000, 0.500, 0.000], [0.233, 0.500, 0.733], [0.500, 0.000, 0.000], [0.500, 0.500, 0.500], [0.767, 0.500, 0.267]], "final_energy_ev_per_atom": -3.766, "space_group": "No. 71", "m_tot_mub_per_cell": 0.00}

-- Job --
Work out how many lines further up have the word "Ga" in them; a number is enough, please.

-- Reply --
2